Ch 389

The chaos here is full of the crying and shouting of many disciples, and their faces are extremely sad.

Many Orthodox Elders and disciples have found that their family leader's life card has been broken.

What does this mean?

It means that their leader died tragically in the underground palace and encountered unimaginable dangers inside.

This shocked them and couldn't believe it.

Many people were directly limp to the ground, feeling that the sky was about to collapse.

The fall of the leader is something they dare not even imagine.

A leader-level figure, that is the existence that stands at the pinnacle of the upper realm.

Dominate one party's orthodoxy, the territory is endless, the power is terrifying, and the lifespan can reach tens of thousands of years.

What kind of characters, who can kill them?

Moreover, it was not a leader, but a few.

This can only show that they encountered an unimaginable danger in the underground palace.

"It must be a trap set by the Taixu God Race, in order to make the many ethics and forces who come here pay their due price."

"Too Damn it, they insist on being an enemy to all of us! They dare to kill our leader!

"Ahhhhhhhhhhhhhhhhhhhhhhhhhhhhhhhhhhhhhhhhhhhhhhhhhhhhhhhhhhhhhhhhhhhh that he dare to slay our leader!"

Many Elder trembles with anger at the thought of this possibility.

Above the face, hatred and anger appeared even more, and I wished to go and seek revenge from the Taixu Protoss now.

"Could it be that there was some danger encountered in the underground palace? After all, this is the cemetery of the ancestor of the Taixu God Race, and maybe there are methods left by him.

There are also people who are speculating about this possibility, thinking that the Taixu Protoss cannot have such courage.

Killing so many leaders will inevitably cause the world to shake.

Could it be that he wants to be the enemy of all the others?

"The Cultivation Base of the Taixu God Race surpasses the Supreme! Even if it is not him, it must be inseparable from him."

"Until now, I haven't seen people from the Taixu God Race come out. They must have taken the relics and escaped from another direction!"

Hearing this, the "May 13" old man retorted immediately, his eyes turned red and contained hatred.

No matter what kind of possibility it is, it is absolutely inseparable from the Taixu Protoss.

They are bound to seek an explanation from the Taixu Protoss.

Many Tianjiao in the True Immortal Academy looked at them with different colors.

The underground palace collapsed and it had been wiped out long ago. Although there was still a lot of glow coming out, the previous threats were no longer there.

"Gu Changge, what is he doing in it?"

The six-crowned king's eyes seemed to penetrate the ruins and penetrate into it.

It's just that although this place collapsed, there are still many formation patterns that can block everyone's exploration.

"The young master hasn't come out yet. Although I know that the young master is very strong, many archeologists have fallen into the cemetery."

"Young Master will have no trouble, right?"

Longevity Gu's family is also worried about the strong.

Seeing the fall of the Patriarch of the other Taoist families, his brows were very tight, worried that Gu Changge would have an accident.


At this moment, there was a sudden movement. When everyone heard the sound, they all looked over, looking shocked.

A figure rushed out of the collapsed underground palace, with a calm expression, and quickly fell towards this place while walking.

"It's Gu Changge!"

## Materials data from another source follow
____________
Below is LiMn2P2O10 after structural relaxation, with properties calculated at the GGA+U level.

* calculated volume: 339.9 Å³/cell
* energy above the most stable polymorph in this dataset: 0.020 eV per atom
* crystal system: monoclinic

Cell lengths 4.948, 10.303, 7.002 Å; angles 90.00, 107.81, 90.00 degrees
Sites, in units of the cell vectors:
Li 0.122 0.000 0.084
Li 0.878 0.500 0.916
Mn 0.119 0.531 0.565
Mn 0.378 0.671 0.932
Mn 0.622 0.171 0.068
Mn 0.881 0.031 0.435
P 0.026 0.750 0.223
P 0.473 0.446 0.280
P 0.527 0.946 0.720
P 0.974 0.250 0.777
O 0.019 0.641 0.750
O 0.075 0.383 0.728
O 0.188 0.675 0.415
O 0.218 0.167 0.911
O 0.235 0.786 0.103
O 0.261 0.416 0.396
O 0.273 0.025 0.590
O 0.306 0.527 0.090
O 0.420 0.821 0.786
O 0.480 0.554 0.756
O 0.520 0.054 0.244
O 0.580 0.321 0.214
O 0.694 0.027 0.910
O 0.727 0.525 0.410
O 0.739 0.916 0.604
O 0.765 0.286 0.897
O 0.782 0.667 0.089
O 0.812 0.175 0.585
O 0.925 0.883 0.272
O 0.981 0.141 0.250

***

Below is LiMn2P2O8 after structural relaxation, with properties calculated at the GGA+U level.

* calculated volume: 355.9 Å³/cell
* energy above the most stable polymorph in this dataset: 0.047 eV per atom
* crystal system: monoclinic

Cell lengths 5.094, 9.864, 7.084 Å; angles 90.00, 90.47, 90.00 degrees
Sites, in units of the cell vectors:
Li 0.044 0.000 0.243
Li 0.956 0.500 0.757
Mn 0.063 0.011 0.744
Mn 0.473 0.720 0.711
Mn 0.527 0.220 0.289
Mn 0.937 0.511 0.256
P 0.057 0.257 0.017
P 0.435 0.428 0.518
P 0.565 0.928 0.482
P 0.943 0.757 0.983
O 0.014 0.412 0.007
O 0.033 0.697 0.171
O 0.085 0.697 0.806
O 0.145 0.470 0.509
O 0.356 0.220 0.045
O 0.414 0.026 0.348
O 0.445 0.930 0.690
O 0.478 0.275 0.562
O 0.522 0.775 0.438
O 0.555 0.430 0.310
O 0.586 0.526 0.652
O 0.644 0.720 0.955
O 0.855 0.970 0.491
O 0.915 0.197 0.194
O 0.967 0.197 0.829
O 0.986 0.912 0.993

***

Below is LiMnPO4 after structural relaxation, with properties calculated at the GGA+U level.

* calculated volume: 479.4 Å³/cell
* energy above the most stable polymorph in this dataset: 0.045 eV per atom
* crystal system: hexagonal

Cell lengths 8.598, 8.598, 7.489 Å; angles 90.00, 90.00, 120.00 degrees
Sites, in units of the cell vectors:
Li 0.016 0.680 0.000
Li 0.320 0.337 0.000
Li 0.337 0.016 0.500
Li 0.663 0.984 0.000
Li 0.680 0.663 0.500
Li 0.984 0.320 0.500
Mn 0.000 0.000 0.280
Mn 0.000 0.000 0.780
Mn 0.333 0.667 0.285
Mn 0.333 0.667 0.861
Mn 0.667 0.333 0.361
Mn 0.667 0.333 0.785
P 0.034 0.685 0.586
P 0.315 0.349 0.586
P 0.349 0.034 0.086
P 0.651 0.966 0.586
P 0.685 0.651 0.086
P 0.966 0.315 0.086
O 0.069 0.207 0.080
O 0.108 0.520 0.074
O 0.136 0.728 0.766
O 0.139 0.931 0.080
O 0.173 0.751 0.433
O 0.207 0.139 0.580
O 0.249 0.422 0.433
O 0.272 0.409 0.766
O 0.409 0.136 0.266
O 0.413 0.892 0.074
O 0.422 0.173 0.933
O 0.480 0.587 0.074
O 0.520 0.413 0.574
O 0.578 0.827 0.433
O 0.587 0.108 0.574
O 0.591 0.864 0.766
O 0.728 0.591 0.266
O 0.751 0.578 0.933
O 0.793 0.861 0.080
O 0.827 0.249 0.933
O 0.861 0.069 0.580
O 0.864 0.272 0.266
____________
## End of the materials data

Many young Tianjiao shook their heads slightly, a little regretful.

If Gu Changge had fallen into it like the group of great leaders, it would be a good thing for them.

All day long, I feel that there is an insurmountable mountain above my head. It really makes them breathless and feel pressured.

Unfortunately, let them down, Gu Changge doesn't seem to be a big deal.

It's just that his complexion is a little pale, and there are a lot of blood stains on his robe.

"Gu Changge was also injured, what happened in it?"

Many of the older generation of strong men looked at Gu Changge's injuries in surprise, and didn't understand that with his strength, he would also be injured.

However, many archbishops have fallen in it, and it is normal for Gu Changge to be injured in this way.

Now they are very curious about what happened in it.

Yue Mingkong took a deep look at him, walked over, and asked, "Is it all right?"

Although she knew that Gu Changge must be fine, it was not the first time that he pretended to be injured and deceived everyone.

But at this time, especially in front of everyone, it is best to cooperate with him and show his concern, otherwise it will be easy for people to see the abnormality.

"Young Master, are you okay?"

The strong members of the Changsheng Gu family gathered around and asked worriedly.

Gu Changge glanced at the crowd and shook his head.

Hearing this, everyone in the Gu family was relieved and relieved.

"Worries you." He smiled at Yue Mingkong.

"You are fine."

Yue Mingkong glanced at him coldly, took out a clean embroidered handkerchief from his sleeve, and gently wiped the faint blood on the corner of his mouth.

Jiang Chuchu, who originally wanted to come forward to show his concern, saw this scene, his expression suddenly stagnated, and then silently froze in place.

"Brother Gu is blessed to have such a considerate fiancee."

The prince felt abruptly that he was stuffed with dog food in his mouth, but he still said with a smile.

In her opinion, apart from the four archbishops who were killed by Gu Changge in the main tomb at that time.

The rest of the leaders who have fallen today obviously also encountered Gu Changge's poisonous hands.

Although she had left at that time, she did not see what happened afterwards.

But she trusts her own intuition very much.

With Gu Changge's strength, even if he took advantage of the chaos to solve the group of archeologists, it would not take long.

It's just that the prince couldn't figure out why Gu Changge would kill the group of archbishops?

Is it to blame the Taixu God Race and provoke the conflicts between them?

"Gu Changge will get hurt too. Isn't he trying to lie like he did last time?"

Gu Xian'er put the veil back on her sleeves calmly, but her eyes were a little suspicious.

She doesn't believe that Gu Changge will be injured anymore.

I made her worry every time, but in the end I found that he was alive and kicking, nothing happened, and he could even continue to bully her.

"What happened to Young Master Changge? Why did the underground palace suddenly collapse, besides, have you seen the people of the Taixu God Race?"

In the distance, many Elders from the rest of the Orthodox tradition also gathered around at this moment, asking Gu Changge what happened in it.

No matter what the cause, they have to find the cause of the death of the leader, otherwise there will be no reason for revenge at that time.

Hearing this, Gu Changge looked at them, shook his head slightly, and sighed, "Jiang Luoshen and other members of the Taixu God Race should have left."

"As for what happened at that time, I actually don't know very well, because I was fighting with Jiang Luoshen for something, and there was no time for him to take care of it.,

"Then the underground palace suddenly began to collapse. I suspect it was the hands and feet of the mysterious man and the mysterious monk beside her."

"At that time, the many formation patterns in the palace instantly recovered, and then Jiang Luoshen took people to break through the space and leave. I broke through the formation patterns all the way, and then I was able to come out."

He simply recounted what he had experienced at that time.

As for how the group of archbishops died, how did he know? After all, no one saw it.

After listening to the crowd, although there were still many doubts in their hearts, they did not ask any more.

Although Gu Changge didn't just say what he was fighting for with Jiang Luoshen.

But many people have guessed that it is actually the godhead left by the ancestor of the Taixu Protoss.

As for whose hands it ended up in, this is not something they can care about now.

"Jiang Luoshen, the monk and mysterious man next to her, the old man had noticed at the time, and felt that the young man should have a good understanding of these topographic changes and he has a lot of accomplishments.

"It seems that at that time, he triggered the formation pattern here, which caused the underground palace to collapse and bury everyone in it."

The old man holding a Feng Shui compass in the water, Xiang. While he was still, he could not help but sigh like this when he heard Gu Changge's words.

He agreed with Gu Changge's statement.

Many people at the scene knew the old man rickety and knew that he had deep learning in tracing the source.

Even he said so.

There is almost no second possibility for this matter.

"No wonder it was weird at the time. Why did Jiang Luoshen bring such a weak man in the Cultivation Base room with him. It turned out that this was the reason.

Someone suddenly sighed.

If they had noticed this early, how could their leader be killed?

"I have written down this enmity. The Taixu God Race will pay the due price, as well as the mysterious man and monk.

Many of the older generation of strong men began to flicker with murderous intent and coldness in their eyes.

Wang Ziyan looked at all this with some surprise.

Good guy, in this way, the Taixu Protoss has a black pot of killing everyone on its back.

In a short period of time, there is no way to wash away all this.

This was the first time she saw clearly and straightforwardly how Gu Changge buckled the black pot on someone else's head. She trembled and frightened slightly, but it was more novel and interesting.

She is very sure now.

The real human ancestor's reincarnation certainly did not know when he had already encountered Gu Changge's murderous hand.

"How did this guy do it?"

She stared at Gu Changge with beautiful eyes, almost for an instant.

Jiang Chuchu glanced at her suspiciously, "Wang Wangzi, what are you looking at?"

The prince came back to his senses and smiled at her and said, "I'm looking at someone who makes my heart move."

Subsequently, Elder and disciples of many Orthodox forces, with their respective ancient chariots and mounts, began to evacuate from here, to report what happened today to Sect.

It is conceivable that after what happened here, it will cause much sensation and waves.

There are a total of eight leader-level figures who died tragically in the tomb of Taixu God, enough to cause a sensation in the upper realm.

Even the last time there was a longevity war, it was not so tragic.

After all, a leader-level figure, that represents a party of orthodox forces, and rarely falls.

This kind of thing is almost endlessly dead end.

Many people expected a major earthquake in Upper Boundary.

In the next period of time, the Taixu Protoss will face squally rain and will not be calm.

Said the people of Celestial Immortals Palace, come to say goodbye to Gu Changge and want to leave here.

Xiao Ruoyin witnessed Gu Changge's terrifying strength with his own eyes, and his persistence and yearning deepened.

However, she also knew that she did not have any advantage in front of Gu Changge.

Therefore, Xiao Ruoyin secretly made up his mind that the next time he saw Gu Changge, he must at least let him face himself and not appear to be useless.

Dao After everyone in Celestial Immortals Palace left, everyone in the Gu family also left to return to the family.

This time Gu Xian'er is not going to return to Zhenxian Academy, but intends to return to the family to deal with some of her parents and grandfather's affairs.

Although the last time Gu Changge sent a tribe to help her find the world where her grandfather and parents are now.

But because of some things, her parents stayed in that world and had not been reunited for more than ten years.

However, a piece of news came recently, which made her feel a touch of sorrow.

But she didn't tell Gu Changge that she didn't want to trouble him and let him intervene at will.

Gu Changge glanced at Gu Xian'er and saw her figure away. Although he guessed what happened to her, he didn't ask.

After that, the disciples of Zhenxian Academy and the other Tianjiao also left one after another and returned to their respective Sects.

The news spread quickly, causing an uproar.

Every day in the upper realm, there was also a sensation because of what happened to the tomb of Taixu God, and everyone was shocked by it.

No one thought that the Taixu Protoss was so bold, killing many Tianjiao and eight great masters here.

For a time, many Taoist ancestors have awakened, and the gods are soaring to the sky, planning to go to the clan where the Taixu Protoss belongs to seek justice.

The sentiment is exciting and murderous.

Although the cemetery was left by the ancestors of the Taixu Protoss at the time, all the great leaders sent Elder and other strong men to it, which is somewhat unreasonable.

However, it would be too much for the Taixu Protoss to kill everyone in it.

This is planning to offend many Taoist traditions to death!

Of course, in this matter, another incident also shocked many people's hearts, and they couldn't recover for a long time.

Gu Changge's strength is already strong enough to be comparable to that of Quasi-Supreme.

Even with the existence of the peak of the Great Sacred Realm, it is impossible to escape death in his hands.

At that time, everyone witnessed with their own eyes that a strong man at the peak of the Great Sacred Realm of the Taixu God Clan was killed by him alive above the sky.

The shock caused by this incident was no less than that of the eight great masters.

Many people feel that their scalp is numb. How old is Gu Changge in his early twenties?

Many older generations were silent. Compared with Gu Changge, they felt that they had lived as a dog at an age.

Many people can't believe it, how did Gu Changge cultivate?

Even if it is the reincarnation of a true immortal, it is impossible to reach such a Realm at the age of more than 20 years.

Even if they were born with Sage, Wang Zizhen, Jiang Chuchu and others who possessed the Nine Apertures Immortal Soul, Cultivation Base is no more than the Holy Realm.

Some time ago, Chu Hao, the descendant of the Taishang Cave, who shocked all parties, became a quasi-supreme Realm at the age of hundreds, and the scenery is boundless.

If he hadn't offended Gu Changge, many forces would all want to extend an olive branch to him.

Now in front of Gu Changge, even Chu Hao seemed bleak and irrelevant.

How did Gu Changge cultivate?

For a time, all parties were shaken.

Of course, many people are also speculating that the younger generation may be the only one who can fight Gu Changge, the mysterious inheritor of magic skills.

And during this time, the inheritor of magic skills, although there is a tendency to disappear.

However, in some places, you can still hear the news that someone has been undermined by him, and many orthodoxy are looking for their traces.

On the other side, Jiang Luoshen, who had returned to the Taixu clan, immediately found her father, who is now the Taixu God Emperor.

She recounted what happened this time, without any concealment.

Naturally, it also includes how to offend Gu Changge, how to suffer a loss in his hands, and finally how she escaped in 3.7.

Many things happening outside today are inseparable from this matter.

After listening to it, even the Emperor Taixu, who was incapable of emotions and anger, was extremely angry, and his face was full of anger.

The breath of terror surging in the palace, as if to repeat the world and divide the universe.

"Luo Shen, what you said is true? If so, this Gu family child is really deceiving people too much. The behavior is so nasty and despicable, it is really not worthy of the title of the first person of this young generation!"

Taixu Shenhuang is tall and burly, dressed in a golden robe, his eyes are as deep as the vast starry sky, giving people a feeling of anger and self-prestige.

At this moment, a horrible phantom even appeared behind him, and he could break through the clouds at any time, obviously because of this incident, he was extremely angry.

Nowadays, it is said that the Taixu god clan killed the leaders of various Taoist sects in the tomb of Taixu god, seeking justice from them.

Now I sent someone to ask about it.

If this matter is not handled properly, the Taixu Protoss will definitely arouse public anger.

"My daughter said everything is true, there is no half-word, if my father hadn't given me a substitute for the puppet, I'm afraid my life would be there this time."

"Gu Changge is powerful, Cultivation Base is unfathomable, and cruel, and the methods are despicable. This time, it is Gu Changge who is leading the way.

Jiang Luoshen gritted his teeth and said, his calm complexion still had a hint of fear and fear.

From birth till now, she is as proud as her, always looking high above all beings, this is the first time I know what death is.

That feeling made her tremble.

Even now, there are still uncontrollable panic and chills.

What's more, what makes her feel more frightened and uneasy now is that as long as she thinks of Gu Changge, or even mentions these three words, she has a feeling of soft legs.

She really hated and feared Gu Changge, and never thought that one day she would almost die in his hands.

Gu Changge's indifferent and merciless eyes at the time still appeared in her mind from time to time, making her uneasy.